Assignment.
Could you set down only the last part of the data further down, starting with the line that has "all 14"?

Input.
********
Below is a cluster of 2 separate species, C7H13Cl2O5P in total, with properties calculated with wB97M-V/def2-TZVPD.

Positions of all 28 atoms, in Å:
C1 1.5583 -0.1482 3.6164
C2 0.3859 -0.3958 3.6208
C3 -1.0715 -0.6220 3.4850
O1 -1.4260 -0.8652 2.1134
P1 -1.6539 0.4136 1.1746
O2 -2.4022 0.0682 -0.0385
O3 -2.3852 1.5420 2.0524
O4 -0.2122 1.1108 0.8631
O5 0.1040 0.9310 -0.5340
C4 1.5320 0.7842 -0.5986
C5 2.0082 1.2354 -1.9720
C6 2.0447 0.0624 -2.9826
H1 2.5682 0.1545 3.4837
H2 -1.5855 0.2415 3.9062
H3 -1.3608 -1.5000 4.0565
H4 -3.2851 1.5649 1.7009
H5 1.9580 1.4253 0.1728
H6 1.7815 -0.2632 -0.4197
H7 1.4324 2.0706 -2.3658
H8 3.0338 1.5894 -1.8434
H9 1.0824 -0.0248 -3.4817
H10 2.2812 -0.8421 -2.4279
H11 2.8129 0.2346 -3.7343
Cl1 -0.4090 -2.6452 -2.1324
C7 -1.8394 -1.6030 -1.9894
Cl2 -3.2802 -2.5330 -1.5649
H12 -1.6635 -0.8629 -1.2146
H13 -2.0089 -1.1228 -2.9459

Summary:
LUMO = 0.46 eV
Frontier orbital gap = 10.4 eV
Highest occupied orbital energy = -9.9 eV


Below is a structure of composition C14H23Cl2O2P2Tl, with properties calculated with wB97M-V/def2-TZVPD.

Positions of all 44 atoms, in Å:
C1 -0.5255 -4.3899 -5.2775
C2 -1.1189 -3.4534 -4.1806
H1 -1.3845 -4.8787 -5.8424
H2 0.2207 -5.0448 -4.7185
H3 0.1409 -3.6915 -5.8705
O1 -1.9909 -2.5445 -4.0957
Cl1 2.1146 -2.4968 -3.4333
Tl1 0.2458 -2.7924 -1.9404
P1 -0.3905 1.8260 -2.1516
C3 -1.6521 3.1058 -2.5949
C4 1.0231 3.0090 -2.1836
H4 0.5398 0.3941 -3.8895
H5 -0.1361 1.9354 -4.5453
H6 -1.2281 0.5965 -4.0657
C5 -0.2853 1.1092 -3.8386
H7 1.9570 2.4428 -2.1761
H8 0.9502 3.6407 -3.0806
H9 -1.2842 3.6958 -3.4499
H10 -1.8098 3.7709 -1.7371
H11 0.9701 3.6398 -1.2860
H12 -2.6001 2.6243 -2.8646
C6 -2.3075 1.1261 -0.4380
O2 -3.1988 0.9340 0.2570
Cl2 1.2748 0.0061 -1.2621
C7 -0.8720 -1.1637 1.8602
P2 0.8608 -0.5479 1.9778
C8 0.6601 1.2166 1.5381
C9 0.9887 -0.4513 3.7865
C10 1.8094 -1.3592 4.4409
C11 1.8753 -1.3664 5.8068
C12 1.1364 -0.4866 6.5892
C13 0.2933 0.4527 5.9485
C14 0.1909 0.5011 4.5332
H13 -1.2701 -0.9192 0.8572
H14 -1.4955 -0.7147 2.6593
H15 -0.8873 -2.2638 1.9904
H16 0.7426 1.8874 2.4105
H17 1.4760 1.4512 0.8189
H18 -0.3014 1.3962 1.0027
H19 2.3764 -2.0308 3.8462
H20 2.5090 -2.0886 6.3264
H21 1.1610 -0.4845 7.6801
H22 -0.3163 1.1954 6.5396
H23 -0.4622 1.2114 4.0531

Summary:
LUMO (alpha / beta) = -9.38 / -9.39 eV
Total charge = +2
ΔE to the lowest compared entry with this formula, charge and spin = 0.0 kcal/mol
Frontier orbital gap (alpha / beta) = 5.5 / 5.0 eV
Highest occupied orbital energy (alpha / beta) = -14.9 / -14.4 eV


Below is an isolated molecule of C4H8N2, with properties calculated with wB97M-V/def2-TZVPD.

Positions of all 14 atoms, in Å:
C1 -1.0788 0.0429 2.4039
N1 -0.1002 0.3997 1.5559
N2 -0.0286 -0.4741 0.4796
C2 -0.9639 -0.1292 -0.6086
C3 0.4394 0.3873 -0.5601
C4 1.4913 -0.1425 -1.5935
H1 -1.1381 0.8000 3.2415
H2 -1.5771 -1.0915 2.2939
H3 -1.1781 -1.0311 -1.1971
H4 -1.6615 0.7897 -0.4583
H5 0.5682 1.3950 -0.1009
H6 1.4773 -1.2876 -1.4226
H7 1.2469 0.0749 -2.6328
H8 2.5031 0.2665 -1.4010

Summary:
LUMO = 1.04 eV
ΔE to the lowest compared entry with this formula, charge and spin = 90.0 kcal/mol
Frontier orbital gap = 10.0 eV
Highest occupied orbital energy = -9.0 eV


Below is a structure of composition C14H25CrI2OP2, with properties calculated with wB97M-V/def2-TZVPD.

Positions of all 45 atoms, in Å:
I1 -4.7276 2.2722 -2.3208
I2 -3.3792 0.3299 -3.7567
Cr1 -0.7148 0.1645 -0.5186
P1 0.2983 1.6244 -1.8936
C1 1.2795 0.8578 -3.2146
C2 -0.6786 2.8331 -2.8762
H1 -0.0342 3.4719 -3.5096
H2 2.0812 3.2972 -1.7769
H3 -1.2777 3.4854 -2.2237
H4 1.0549 3.2969 -0.3144
H5 0.6330 0.3213 -3.9094
H6 -1.3890 2.3166 -3.5491
C3 1.5340 2.6618 -1.0669
H7 1.8660 1.5807 -3.7899
H8 2.2552 2.0140 -0.5561
H9 1.9738 0.1322 -2.7917
P2 -2.3458 -0.6140 0.7546
C4 -2.5679 -2.4004 0.6211
C5 -2.0042 -0.3469 2.5033
H10 -4.1347 1.0823 0.6328
H11 -4.7620 -0.4854 1.2054
H12 -4.4285 -0.2212 -0.5140
C6 -4.0572 -0.0070 0.5029
H13 -1.9833 0.7235 2.7265
H14 -2.7700 -0.8262 3.1220
H15 -3.2875 -2.7826 1.3483
********

Here it is.
Positions of all 14 atoms, in Å:
C1 -1.0788 0.0429 2.4039
N1 -0.1002 0.3997 1.5559
N2 -0.0286 -0.4741 0.4796
C2 -0.9639 -0.1292 -0.6086
C3 0.4394 0.3873 -0.5601
C4 1.4913 -0.1425 -1.5935
H1 -1.1381 0.8000 3.2415
H2 -1.5771 -1.0915 2.2939
H3 -1.1781 -1.0311 -1.1971
H4 -1.6615 0.7897 -0.4583
H5 0.5682 1.3950 -0.1009
H6 1.4773 -1.2876 -1.4226
H7 1.2469 0.0749 -2.6328
H8 2.5031 0.2665 -1.4010

Summary:
LUMO = 1.04 eV
ΔE to the lowest compared entry with this formula, charge and spin = 90.0 kcal/mol
Frontier orbital gap = 10.0 eV
Highest occupied orbital energy = -9.0 eV


Below is a structure of composition C14H25CrI2OP2, with properties calculated with wB97M-V/def2-TZVPD.

Positions of all 45 atoms, in Å:
I1 -4.7276 2.2722 -2.3208
I2 -3.3792 0.3299 -3.7567
Cr1 -0.7148 0.1645 -0.5186
P1 0.2983 1.6244 -1.8936
C1 1.2795 0.8578 -3.2146
C2 -0.6786 2.8331 -2.8762
H1 -0.0342 3.4719 -3.5096
H2 2.0812 3.2972 -1.7769
H3 -1.2777 3.4854 -2.2237
H4 1.0549 3.2969 -0.3144
H5 0.6330 0.3213 -3.9094
H6 -1.3890 2.3166 -3.5491
C3 1.5340 2.6618 -1.0669
H7 1.8660 1.5807 -3.7899
H8 2.2552 2.0140 -0.5561
H9 1.9738 0.1322 -2.7917
P2 -2.3458 -0.6140 0.7546
C4 -2.5679 -2.4004 0.6211
C5 -2.0042 -0.3469 2.5033
H10 -4.1347 1.0823 0.6328
H11 -4.7620 -0.4854 1.2054
H12 -4.4285 -0.2212 -0.5140
C6 -4.0572 -0.0070 0.5029
H13 -1.9833 0.7235 2.7265
H14 -2.7700 -0.8262 3.1220
H15 -3.2875 -2.7826 1.3483